## Listing
┌──
Here is a cluster of 2 separate species, C5H15N2 in total from the Open Molecules 2025 dataset. Energies are from ωB97M-V with the def2-TZVPD basis set.

Summary:
LUMO energy: -8.32 eV
Net charge: +1
M: 103.19 g mol⁻¹
Gap between HOMO and LUMO: 6.329 eV
ΔE to the lowest compared entry with this formula, charge and spin: 127.3 kcal per mole
HOMO level: -14.65 eV

Last columns: bonded neighbours and bond lengths (Å).
Cartesian coordinates (Å):
1 C 1.766 -1.741 -0.336  N2 1.456, C5 1.567, H8 1.083, H9 1.097
2 N 1.713 -0.886 -1.512  C1 1.456, H18 1.013, H19 1.012
3 C -2.173 2.143 -0.827  C4 1.528, H10 1.090, H11 1.086, H12 1.091
4 C -2.885 1.168 0.110  C3 1.528, H13 1.089, H14 1.094, H15 1.085
5 C 0.452 -1.446 0.466  C1 1.567, N6 1.383, H16 1.091, H17 1.101
6 N 0.306 -0.072 0.532  C5 1.383, C7 1.403
7 C 1.053 0.443 1.603  N6 1.403, H20 1.105, H21 1.091, H22 1.091
8 H 1.897 -2.759 -0.680  C1 1.083
9 H 2.515 -1.345 0.360  C1 1.097
10 H -2.134 3.139 -0.384  C3 1.090
11 H -2.735 2.226 -1.753  C3 1.086
12 H -1.128 1.901 -1.024  C3 1.091
13 H -3.960 1.298 -0.016  C4 1.089
14 H -2.730 1.386 1.170  C4 1.094
15 H -2.612 0.128 -0.031  C4 1.085
16 H 0.331 -2.024 1.384  C5 1.091
17 H -0.336 -1.826 -0.203  C5 1.101
18 H 2.613 -0.741 -1.955  N2 1.013
19 H 1.186 -0.031 -1.389  N2 1.012
20 H 2.031 0.805 1.240  C7 1.105
21 H 1.281 -0.298 2.371  C7 1.091
22 H 0.547 1.286 2.074  C7 1.091

~~~~~

(1)
Formula: C3H7NO
Source: the Open Molecules 2025 dataset
Level of theory: wB97M-V/def2-TZVPD

The SMILES is CN=C=O.C. The orbital gap comes out at 0.4098 Eh. The spin multiplicity is 1. The LUMO energy comes out at 0.75 eV. Its energy above the lowest of the compared OMol25 structures with the same formula, charge and spin is 87.2 kJ/mol.

```
12
Properties=species:S:1:pos:R:3:forces:R:3
O -0.9236 -2.1811 0.6543 0.3 0.4 -0.6
N 0.0656 -1.0397 -1.1791 -0.2 -0.4 0.5
C 0.0222 0.1975 -1.9096 0.0 0.2 -0.1
C -0.4703 -1.5679 -0.2433 0.0 -0.1 0.0
C 0.2976 1.1132 1.8748 0.0 0.0 0.0
H 0.1538 2.0345 1.3046 0.0 -0.1 0.1
H 0.0870 1.3032 2.9296 0.1 0.0 -0.1
H 0.3669 0.0203 -2.9305 0.0 0.0 0.2
H -0.9928 0.6052 -1.9478 0.1 -0.1 0.0
H -0.3859 0.3404 1.5160 0.1 0.1 0.1
H 0.6835 0.9349 -1.4436 -0.1 -0.1 -0.1
H 1.3288 0.7687 1.7659 -0.2 0.0 0.0
```
Forces are in eV/Å.

Löwdin atomic charge list, values in e, 5 entries:
1 O 0.131
2 N 0.064
3 C -0.098
4 C -0.352
5 C -0.042

(2)
Formula: C4H5Cl3GeO5Pt
Source: the Open Molecules 2025 dataset
Level of theory: wB97M-V/def2-TZVPD

The orbital gap (alpha / beta) comes out at 0.2575 / 0.3283 Eh. The spin multiplicity is 2. The LUMO energy (alpha / beta) comes out at -4.72 / -4.72 eV. Its energy above the lowest of the compared OMol25 structures with the same formula, charge and spin is 0.0 kJ/mol. Its total charge is +1.

```
19
Properties=species:S:1:pos:R:3:forces:R:3
Pt 1.1606 0.2931 1.2076 -0.1 0.0 0.0
Ge 0.3163 1.1774 3.1344 0.0 0.0 -0.1
Cl 0.7286 0.4928 5.0685 0.0 0.0 0.0
Cl -1.2380 2.5824 3.2047 0.0 0.0 0.0
Cl 2.2319 2.1118 2.1428 0.0 0.0 0.1
O -1.0859 0.7796 -0.7895 0.0 0.1 0.0
O 0.0706 -1.3802 0.6166 0.0 0.1 -0.1
O 2.5923 -0.0987 -0.5879 0.2 -0.1 0.1
O -1.4605 -2.7156 -0.2255 0.0 0.0 -0.1
O 2.7493 -0.0862 -2.8981 0.1 -0.1 0.0
C -1.7286 -0.4597 -0.7982 0.1 -0.1 0.0
C -0.9349 -1.5302 -0.0774 0.0 0.1 0.2
C -0.2506 1.0160 -1.8414 0.0 -0.1 0.1
C 2.6779 -0.0967 -1.7537 -0.3 0.2 -0.1
H -0.4362 0.4812 -2.7645 0.0 0.0 0.0
H -0.9653 -3.3796 0.2849 0.0 0.0 0.0
H -2.6905 -0.3661 -0.2900 0.0 0.0 0.1
H 0.1904 1.9996 -1.8222 0.0 0.0 0.0
H -1.9273 -0.8209 -1.8110 0.0 0.0 0.0
```
Forces are in eV/Å.

Löwdin atomic charge list, values in e, 5 entries:
1 Pt 0.593
2 Ge -0.239
3 Cl 0.221
4 Cl 0.214
5 Cl 0.157

(3)
Formula: CCl3NO2
Source: the Open Molecules 2025 dataset
Level of theory: wB97M-V/def2-TZVPD
└──

## Job
It remains to print the lines earlier on up to the one that holds "CN=C=O.C. The", that line included.

## Worked solution
Here is a cluster of 2 separate species, C5H15N2 in total from the Open Molecules 2025 dataset. Energies are from ωB97M-V with the def2-TZVPD basis set.

Summary:
LUMO energy: -8.32 eV
Net charge: +1
M: 103.19 g mol⁻¹
Gap between HOMO and LUMO: 6.329 eV
ΔE to the lowest compared entry with this formula, charge and spin: 127.3 kcal per mole
HOMO level: -14.65 eV

Last columns: bonded neighbours and bond lengths (Å).
Cartesian coordinates (Å):
1 C 1.766 -1.741 -0.336  N2 1.456, C5 1.567, H8 1.083, H9 1.097
2 N 1.713 -0.886 -1.512  C1 1.456, H18 1.013, H19 1.012
3 C -2.173 2.143 -0.827  C4 1.528, H10 1.090, H11 1.086, H12 1.091
4 C -2.885 1.168 0.110  C3 1.528, H13 1.089, H14 1.094, H15 1.085
5 C 0.452 -1.446 0.466  C1 1.567, N6 1.383, H16 1.091, H17 1.101
6 N 0.306 -0.072 0.532  C5 1.383, C7 1.403
7 C 1.053 0.443 1.603  N6 1.403, H20 1.105, H21 1.091, H22 1.091
8 H 1.897 -2.759 -0.680  C1 1.083
9 H 2.515 -1.345 0.360  C1 1.097
10 H -2.134 3.139 -0.384  C3 1.090
11 H -2.735 2.226 -1.753  C3 1.086
12 H -1.128 1.901 -1.024  C3 1.091
13 H -3.960 1.298 -0.016  C4 1.089
14 H -2.730 1.386 1.170  C4 1.094
15 H -2.612 0.128 -0.031  C4 1.085
16 H 0.331 -2.024 1.384  C5 1.091
17 H -0.336 -1.826 -0.203  C5 1.101
18 H 2.613 -0.741 -1.955  N2 1.013
19 H 1.186 -0.031 -1.389  N2 1.012
20 H 2.031 0.805 1.240  C7 1.105
21 H 1.281 -0.298 2.371  C7 1.091
22 H 0.547 1.286 2.074  C7 1.091

~~~~~

(1)
Formula: C3H7NO
Source: the Open Molecules 2025 dataset
Level of theory: wB97M-V/def2-TZVPD

The SMILES is CN=C=O.C. The orbital gap comes out at 0.4098 Eh. The spin multiplicity is 1. The LUMO energy comes out at 0.75 eV. Its energy above the lowest of the compared OMol25 structures with the same formula, charge and spin is 87.2 kJ/mol.